We meet at One World Cafe, 533 South Main Street, Moscow, Idaho at 10:30. The back room is reserved until 13:00 as usual. It's a great group of people who love to travel and love talking about travel! So come with your travel questions or travel experiences--so we can all learn more travel tips.
Will we see you there?
Good morning. I'll be there. I have a couple of small things to show.
I'll be there too! I will bring some show and tell things as well. Mine are not from Magellans. (LOL) Darcy, is Doug going to persuade you to take a couple of hours off from wedding plans to come visit?
I am trying really hard to get everything done for the wedding so that we can get to the 16 June meeting! No one should miss any of the show and tell (aka demonstrations)! I certainly wouldn't want to miss seeing anything small or large that anyone is showing! Should be extremely interesting and helpful for travel.
@ Pam, do you know if Roger, Laurie and Jim will be there or do they need to garden some more? I'll check to see if Leslie and Hedy will make it. Anyone else?
I think Rog is a yes. I believe he will be praying for another rainy weekend, altho they did a lot of yard stuff this weekend in spite of the yucky weather. He can check with Laurie tomorrow. I am not sure about Jim and Cathy. I saw her a couple of weeks ago and let her know the schedule.
Darn it! The videographer skipped town - but not after I paid him. So, no video of your last meeting. I still need video or still photos of Monte's demonstrations ;-) Perhaps he can simply send me a link to his own video productions... orrrrrr not...
There will be no videos of me because I belong the the screen artists guild and I need a release from the union to have my image used. Its a closed discussion.
Oh my....almost spewed iced tea on the computer screen on that one. Will probably laugh inappropriately the rest of the day thinking about Monte and the SAG and Eileen waiting for the download.
Monte is a FRAUD!! If he was a member of SAG he would know that it is the Screen Actors Guild, not Screen Artists Guild. He is obviously not in 'The Business', so his images can be used. No problem!
Andrea, you're smarter than you look.
So I'm told. Hey, wait a minute...you don't know what I look like. Do you? Hmm...maybe you are a Peeping Monte!
No, Andrea, I haven't shown the Moscow Group our 3 Musketeers picture from last June. So is anyone else coming to the meeting? I'm beginning to have doubts that Doug and I will make it. We're both feeling overwhelmed for some strange reason! Maybe it could be because our rehearsal dinner for 54 people has now become 58? We now have 2 extra chairs--Andrea, Eileen? would you like to be in our wedding?!!! (hahaha!)
"Andrea, you're smarter than you look." No, not really. She's not. (snort) Monte is actually an artiste, I'm sure... Good save, Pam! Sure, Darcy! I'd love to attend! I'm a pro at being a candlelighter...just sayin'. Some people are always a bridesmaid, I've always been a candlelighter. I could do that at One World Cafe, too - Monte and I could quickly work up a skit...
I can be your cake cutter Darcy. I have a lot of experience both cutting and eating cake!
Darcy, Rog is planning to come. Laurie is busy. If it is just Monte, Rog and me (maybe Hedy??) we wont lack for conversation! We will see you when we see you. You really might need a stress break!
Just saw on the KLEW news that they are moving the Farmers Market to Main St for a couple of weeks to replace the light poles in the big parking lot where it is usually held. This will have an impact on the ability to park at OneWorld.
@ Andrea and Eileen, WOW! we definitely need you two here for the wedding! What a great duo, a candle lighter and an expert cake cutter/eater! Maybe you should hire yourselves out for birthday parties too?
@ Pam, it's a shame we didn't know about the parking situation several weeks ago. If we had, I would have tried to convince you that we should have the meeting in Lewiston; Doug and I would definitely have made the meeting then.
Yep, the Farmer's Market change was not really on my radar screen! We could alternate doing Moscow and Lewiston?
That would be fantastic, Pam! Could you all vote at the June meeting on nating meetings between Moscow and Lewiston? Don't know if absentee votes are acceptable but I'm sure I could vote for Doug too! Hmmm, while I'm at it, I'll vote for Leslie too! If we do decide to nate meeting locations, we'll have to change our name.....any ideas?
nating meetings? changing meeting locations between Moscow and Lewiston! Any ideas for our name change? North Idaho? Panhandle?
Palouse/LCValley? Lewis-Clark Valley/Palouse?
Darcy, I have bad news for you. I'm not sure how to tell you this. Okay, I'll just have to come out and say it... I have misplaced my very special wedding cake cutting knife. I have looked high and low for it, but it seems to have disappeared. I guess I won't be able to participate in the wedding after all. I hope Eileen can find some matches or a lighter for those candles. If your group in unsure where to meet, I vote for Sacramento.
It was Heddy, Sharon and me. We bsed for a while and went home.
Andrea! Oh NO! your cake cutter is missing? I guess you can use the one that our son & dil-2b have? and of course, even if you can't cut, you would still be an excellent cake eater, yes? Surely we can find a lighter for Eileen? (I'm not too sure how safe she'd be with matches!) @ Pam, Rog & Monte--Regret to say that we can't be at today's meeting. We still have too many wedding projects to do. (I should have known we would!) Have a great meeting and when you talk about us, only say great things, please!
Monte, not sure if you will check in before you head up to Moscow. I am iffy on whether I can make it as Dad is having a tough morning, so not sure I can leave. Rog has had something come up so will not be there. It may be you and the Farmer's Market crowd!!
_Next to the page, the page also holds data records_
+++
ORCA calculation (the ωB97M-V functional and the def2-TZVPD basis) on a molecular structure, C46H49N6O4PtSTe.

- Lowest unoccupied orbital energy (spin up / spin down): -9.2 / -11.5 eV
- Gap between HOMO and LUMO (spin up / spin down): 4.81 / 2.83 eV
- Electronic energy: -3196.32980 a.u.
- <S²>: 6.018

Structure (ORCA input):
```
! wB97M-V def2-TZVPD RIJCOSX def2/J DEFGRID3
* xyz 3 5
Pt -0.220 0.350 -0.294
C 3.157 2.800 4.888
C 2.445 1.858 3.953
C 3.068 0.704 3.469
C 2.441 -0.185 2.610
C 3.154 -1.411 2.130
O 2.577 -2.472 1.980
C 4.626 -1.316 1.878
C 5.216 -0.151 1.393
C 6.578 -0.118 1.131
C 7.356 -1.245 1.360
C 6.771 -2.409 1.843
C 5.409 -2.448 2.092
C 1.116 0.069 2.189
O 0.542 -0.754 1.338
C 0.451 1.229 2.682
C 1.151 2.101 3.539
C -0.961 1.467 2.403
N -1.582 0.786 1.478
C -3.040 0.704 1.420
C -3.684 0.014 2.633
Te -3.231 -2.051 2.983
C -1.592 -1.845 4.250
C -0.412 -2.528 3.971
C 0.658 -2.404 4.843
C 0.535 -1.636 5.993
C -0.661 -0.992 6.285
C -1.733 -1.091 5.412
C -1.688 2.519 3.182
C -2.237 3.591 2.480
C -2.907 4.603 3.149
C -3.044 4.548 4.530
C -2.485 3.494 5.239
C -1.797 2.492 4.570
H 4.180 2.474 5.070
H 2.650 2.857 5.852
H 3.196 3.810 4.478
H 4.083 0.491 3.783
H 4.609 0.733 1.235
H 7.040 0.791 0.766
H 8.422 -1.214 1.173
H 7.380 -3.284 2.030
H 4.940 -3.352 2.459
H 0.659 2.999 3.889
H -3.294 0.146 0.518
H -3.516 1.687 1.358
H -4.769 0.026 2.518
H -3.436 0.528 3.562
H -0.308 -3.138 3.084
H 1.587 -2.912 4.620
H 1.370 -1.553 6.677
H -0.763 -0.424 7.200
H -2.672 -0.610 5.657
H -2.113 3.642 1.403
H -3.317 5.439 2.599
H -3.571 5.335 5.054
H -2.570 3.462 6.317
H -1.323 1.695 5.126
O -1.603 -2.031 1.063
C -0.988 -2.973 0.205
C -0.991 -2.574 -1.258
C -1.138 -3.587 -2.201
C -1.081 -3.301 -3.550
C -0.887 -1.983 -3.936
C -0.757 -1.028 -2.954
N -0.801 -1.299 -1.640
H -0.872 -1.491 1.457
H -1.521 -3.919 0.290
H 0.049 -3.143 0.518
H -1.297 -4.602 -1.859
H -1.192 -4.086 -4.287
H -0.845 -1.698 -4.977
H -0.601 0.008 -3.221
C 2.453 -2.127 -1.588
N 3.042 -0.970 -2.248
C 3.628 -1.231 -3.555
C 2.930 0.255 -1.692
O 2.003 0.517 -0.877
N 3.840 1.207 -2.019
C 3.653 2.572 -1.548
C 5.224 0.881 -2.373
H 3.211 -2.907 -1.495
H 1.626 -2.526 -2.181
H 2.114 -1.860 -0.591
H 2.921 -1.828 -4.136
H 4.562 -1.790 -3.483
H 3.809 -0.302 -4.088
H 2.616 2.746 -1.281
H 3.965 3.270 -2.326
H 4.259 2.761 -0.658
H 5.435 -0.164 -2.164
H 5.885 1.481 -1.750
H 5.442 1.100 -3.418
N -1.495 5.156 -5.600
C -1.933 5.160 -4.374
S -2.891 6.406 -3.750
C -1.560 4.061 -3.445
C -2.488 3.552 -2.544
C -2.085 2.540 -1.684
N -0.847 2.042 -1.684
C 0.044 2.538 -2.552
C -0.266 3.547 -3.448
H -1.680 5.914 -6.247
H -0.996 4.356 -5.968
H -3.515 3.893 -2.520
H -2.778 2.117 -0.969
H 1.038 2.111 -2.508
H 0.512 3.936 -4.093
*
```

Atomic partial charges in e from the Löwdin method, atoms 1 to 2: 1.26 -0.03


(1)
+++
_The page goes on_
Sharon's back?! Sorry I missed her and sorry to be a no show. Dad having a difficult time this morning.